## What to do
Find the line below that holds "1.0593 0.6904", then quote that line and all lines after it there.

## Input
No. 1
This record from the Open Molecules 2025 dataset describes a structure of composition C30H34BrFN2O2S4V at a distorted geometry. The level of theory is ωB97M-V with the def2-TZVPD basis set.

Geometry as ORCA input:
```
! RIJCOSX wB97M-V def2-TZVPD def2/J DEFGRID3
* xyz 2 2
V -0.2145 -0.5357 -0.3705
C 0.5999 3.0710 -0.9966
C 1.8670 2.3280 -1.3558
S 1.6220 0.5838 -1.8448
C 1.0593 0.6904 -3.5917
C -0.3507 0.1450 -3.7506
S -1.3124 0.6404 -2.2796
C -3.0069 0.1194 -2.7409
C -3.9575 1.1893 -2.2254
S -3.5571 1.5614 -0.4768
C -2.7559 3.2123 -0.5478
C -1.7188 3.3439 0.5502
S -0.2552 2.2611 0.4071
H -0.0846 3.1225 -1.8467
H 0.8530 4.0810 -0.6699
H 2.5395 2.2697 -0.5001
H 2.3831 2.8294 -2.1726
H 1.7665 0.1048 -4.1817
H 1.1223 1.7376 -3.8823
H -0.3649 -0.9425 -3.8151
H -0.8380 0.5702 -4.6285
H -3.2072 -0.8441 -2.2744
H -3.0468 0.0333 -3.8265
H -4.9918 0.8447 -2.2646
H -3.8724 2.1146 -2.7946
H -3.5368 3.9568 -0.3889
H -2.3324 3.3432 -1.5421
H -2.1561 3.0821 1.5158
H -1.3405 4.3668 0.5831
O -5.0376 -1.9701 2.4142
C -4.2577 -2.9375 1.8844
C -4.6874 -4.2537 2.0728
C -3.9595 -5.3084 1.5666
C -2.7781 -5.0717 0.8737
C -2.3186 -3.7774 0.7158
C -3.0584 -2.7010 1.1982
C -2.5363 -1.2770 1.0443
O -1.6204 -1.0835 0.0904
N -1.9076 -0.8238 2.3143
N -0.6369 -0.4971 2.1879
C 0.1664 -0.2162 3.1397
C 1.5060 0.1807 2.8073
Br 2.0610 -0.5658 1.1017
C 2.3410 0.9790 3.4948
C 1.9332 1.7683 4.6324
C 0.6172 2.2376 4.7538
C 0.2328 2.9569 5.8646
C 1.1603 3.2570 6.8529
C 2.4820 2.8545 6.7121
C 2.8725 2.1190 5.6112
H -4.7708 -1.0740 2.1779
H -5.5982 -4.4020 2.6287
H -4.3046 -6.3187 1.7147
H -2.2033 -5.8937 0.4785
H -1.3771 -3.5793 0.2143
H -3.3890 -0.5900 0.8431
H -2.2458 -1.2447 3.1779
H -0.0972 -0.2911 4.1938
H 3.3739 1.0588 3.1888
H -0.0853 2.0712 3.9489
H -0.7866 3.3001 5.9572
H 0.8516 3.8249 7.7164
H 3.2044 3.1227 7.4664
H 3.8936 1.7800 5.5186
F 1.1868 -4.9380 -4.3834
C 0.8861 -4.0606 -3.4315
C -0.4461 -3.7861 -3.1592
C -0.7462 -2.8316 -2.2036
C 0.2555 -2.1311 -1.5341
C 1.5835 -2.4630 -1.7993
C 1.9067 -3.4236 -2.7422
H -1.2183 -4.3165 -3.6918
H -1.7919 -2.6404 -1.9893
H 2.4060 -1.9880 -1.2784
H 2.9345 -3.6774 -2.9478
*
```

Summary:
energy relative to the best compared isomer or geometry (same formula, charge and spin) = 1.331 eV
highest occupied orbital energy (alpha / beta) = -13.2 / -13.2 eV
⟨S²⟩ = 0.77
Kohn-Sham gap (alpha / beta) = 6.261 / 6.820 eV

***

No. 2
This record from the Open Molecules 2025 dataset describes a structure of composition C30H34CaN7O2S at a distorted geometry. The level of theory is ωB97M-V with the def2-TZVPD basis set.

Geometry as ORCA input:
```
! RIJCOSX wB97M-V def2-TZVPD def2/J DEFGRID3
* xyz 1 1
Ca 6.0567 -3.1045 16.8075
C 5.3082 -2.7804 12.2024
C 5.1909 -2.8300 13.7064
N 5.6856 -3.7209 14.4606
C 6.4938 -4.8281 13.9557
C 7.4095 -5.3003 15.0630
N 8.0748 -4.1272 15.6580
C 9.1840 -4.2976 16.6174
C 8.8801 -3.8792 18.0531
N 8.2594 -2.5514 18.0939
C 7.7685 -2.0584 19.3785
C 7.0528 -0.7457 19.1191
N 6.0077 -0.9875 18.1201
C 5.2333 -0.0869 17.6698
C 5.2022 1.3744 18.0514
C 4.2268 -0.5724 16.5680
C 2.0881 0.4004 16.2071
C 1.7891 -1.0885 14.1319
C 2.9776 -1.7169 13.9356
C 4.3616 -1.8058 14.4980
N 4.9738 -1.2817 15.4769
H 6.3538 -2.7096 11.9581
H 4.8146 -1.8859 11.8148
H 4.8678 -3.6783 11.7372
H 7.0717 -4.5329 13.0890
H 5.8403 -5.6663 13.6615
H 8.1333 -6.0133 14.6846
H 6.8353 -5.7934 15.8403
H 8.4294 -3.6068 14.8632
H 10.0300 -3.7151 16.2843
H 9.5318 -5.3335 16.6569
H 9.8124 -3.9245 18.6277
H 8.1948 -4.5955 18.4977
H 8.9518 -1.8669 17.7614
H 8.5611 -1.9448 20.1146
H 7.0689 -2.7731 19.7782
H 7.7647 -0.0225 18.7349
H 6.6402 -0.3685 20.0348
H 5.9151 1.5623 18.8388
H 4.1935 1.6570 18.3638
H 5.4375 1.9618 17.1609
H 1.8007 0.2409 17.2418
H 1.0574 -1.2965 13.3453
H 2.9378 -2.3757 13.0711
O 4.7395 -4.4479 20.1437
S 4.6628 -5.0342 18.8163
O 5.9959 -5.1395 18.1337
N 3.8960 -4.2063 17.7390
C 2.6018 -3.6863 17.8729
C 1.6017 -4.2964 18.4942
C 0.2332 -3.7365 18.5291
C -0.0408 -2.6601 17.8367
C 0.9664 -1.9769 17.0156
C 0.4095 -1.1718 16.0890

## Reply
C 1.0593 0.6904 -3.5917
C -0.3507 0.1450 -3.7506
S -1.3124 0.6404 -2.2796
C -3.0069 0.1194 -2.7409
C -3.9575 1.1893 -2.2254
S -3.5571 1.5614 -0.4768
C -2.7559 3.2123 -0.5478
C -1.7188 3.3439 0.5502
S -0.2552 2.2611 0.4071
H -0.0846 3.1225 -1.8467
H 0.8530 4.0810 -0.6699
H 2.5395 2.2697 -0.5001
H 2.3831 2.8294 -2.1726
H 1.7665 0.1048 -4.1817
H 1.1223 1.7376 -3.8823
H -0.3649 -0.9425 -3.8151
H -0.8380 0.5702 -4.6285
H -3.2072 -0.8441 -2.2744
H -3.0468 0.0333 -3.8265
H -4.9918 0.8447 -2.2646
H -3.8724 2.1146 -2.7946
H -3.5368 3.9568 -0.3889
H -2.3324 3.3432 -1.5421
H -2.1561 3.0821 1.5158
H -1.3405 4.3668 0.5831
O -5.0376 -1.9701 2.4142
C -4.2577 -2.9375 1.8844
C -4.6874 -4.2537 2.0728
C -3.9595 -5.3084 1.5666
C -2.7781 -5.0717 0.8737
C -2.3186 -3.7774 0.7158
C -3.0584 -2.7010 1.1982
C -2.5363 -1.2770 1.0443
O -1.6204 -1.0835 0.0904
N -1.9076 -0.8238 2.3143
N -0.6369 -0.4971 2.1879
C 0.1664 -0.2162 3.1397
C 1.5060 0.1807 2.8073
Br 2.0610 -0.5658 1.1017
C 2.3410 0.9790 3.4948
C 1.9332 1.7683 4.6324
C 0.6172 2.2376 4.7538
C 0.2328 2.9569 5.8646
C 1.1603 3.2570 6.8529
C 2.4820 2.8545 6.7121
C 2.8725 2.1190 5.6112
H -4.7708 -1.0740 2.1779
H -5.5982 -4.4020 2.6287
H -4.3046 -6.3187 1.7147
H -2.2033 -5.8937 0.4785
H -1.3771 -3.5793 0.2143
H -3.3890 -0.5900 0.8431
H -2.2458 -1.2447 3.1779
H -0.0972 -0.2911 4.1938
H 3.3739 1.0588 3.1888
H -0.0853 2.0712 3.9489
H -0.7866 3.3001 5.9572
H 0.8516 3.8249 7.7164
H 3.2044 3.1227 7.4664
H 3.8936 1.7800 5.5186
F 1.1868 -4.9380 -4.3834
C 0.8861 -4.0606 -3.4315
C -0.4461 -3.7861 -3.1592
C -0.7462 -2.8316 -2.2036
C 0.2555 -2.1311 -1.5341
C 1.5835 -2.4630 -1.7993
C 1.9067 -3.4236 -2.7422
H -1.2183 -4.3165 -3.6918
H -1.7919 -2.6404 -1.9893
H 2.4060 -1.9880 -1.2784
H 2.9345 -3.6774 -2.9478
*
```

Summary:
energy relative to the best compared isomer or geometry (same formula, charge and spin) = 1.331 eV
highest occupied orbital energy (alpha / beta) = -13.2 / -13.2 eV
⟨S²⟩ = 0.77
Kohn-Sham gap (alpha / beta) = 6.261 / 6.820 eV

***

No. 2
This record from the Open Molecules 2025 dataset describes a structure of composition C30H34CaN7O2S at a distorted geometry. The level of theory is ωB97M-V with the def2-TZVPD basis set.

Geometry as ORCA input:
```
! RIJCOSX wB97M-V def2-TZVPD def2/J DEFGRID3
* xyz 1 1
Ca 6.0567 -3.1045 16.8075
C 5.3082 -2.7804 12.2024
C 5.1909 -2.8300 13.7064
N 5.6856 -3.7209 14.4606
C 6.4938 -4.8281 13.9557
C 7.4095 -5.3003 15.0630
N 8.0748 -4.1272 15.6580
C 9.1840 -4.2976 16.6174
C 8.8801 -3.8792 18.0531
N 8.2594 -2.5514 18.0939
C 7.7685 -2.0584 19.3785
C 7.0528 -0.7457 19.1191
N 6.0077 -0.9875 18.1201
C 5.2333 -0.0869 17.6698
C 5.2022 1.3744 18.0514
C 4.2268 -0.5724 16.5680
C 2.0881 0.4004 16.2071
C 1.7891 -1.0885 14.1319
C 2.9776 -1.7169 13.9356
C 4.3616 -1.8058 14.4980
N 4.9738 -1.2817 15.4769
H 6.3538 -2.7096 11.9581
H 4.8146 -1.8859 11.8148
H 4.8678 -3.6783 11.7372
H 7.0717 -4.5329 13.0890
H 5.8403 -5.6663 13.6615
H 8.1333 -6.0133 14.6846
H 6.8353 -5.7934 15.8403
H 8.4294 -3.6068 14.8632
H 10.0300 -3.7151 16.2843
H 9.5318 -5.3335 16.6569
H 9.8124 -3.9245 18.6277
H 8.1948 -4.5955 18.4977
H 8.9518 -1.8669 17.7614
H 8.5611 -1.9448 20.1146
H 7.0689 -2.7731 19.7782
H 7.7647 -0.0225 18.7349
H 6.6402 -0.3685 20.0348
H 5.9151 1.5623 18.8388
H 4.1935 1.6570 18.3638
H 5.4375 1.9618 17.1609
H 1.8007 0.2409 17.2418
H 1.0574 -1.2965 13.3453
H 2.9378 -2.3757 13.0711
O 4.7395 -4.4479 20.1437
S 4.6628 -5.0342 18.8163
O 5.9959 -5.1395 18.1337
N 3.8960 -4.2063 17.7390
C 2.6018 -3.6863 17.8729
C 1.6017 -4.2964 18.4942
C 0.2332 -3.7365 18.5291
C -0.0408 -2.6601 17.8367
C 0.9664 -1.9769 17.0156
C 0.4095 -1.1718 16.0890